TeamTalk 5 C-API DLL  Version 5.11A
Client/Server Connectivity

This section explains how to connect to a server and how the client should transmit voice and video data. More...


struct  EncryptionContext
 Configure peer verification for encrypted connection. More...
struct  ClientKeepAlive
 Control timers for sending keep alive information to the server. More...
struct  ClientStatistics
 Statistics of bandwidth usage and ping times in the local client instance. More...
struct  JitterConfig
 Configuration parameters for the Jitter Buffer. More...


typedef struct EncryptionContext EncryptionContext
 Configure peer verification for encrypted connection. More...
typedef struct ClientKeepAlive ClientKeepAlive
 Control timers for sending keep alive information to the server. More...
typedef struct ClientStatistics ClientStatistics
 Statistics of bandwidth usage and ping times in the local client instance. More...
typedef struct JitterConfig JitterConfig
 Configuration parameters for the Jitter Buffer. More...

-- begin --
# SrH16O10 (GGA-PBE, optimized geometry)
# calculated formation energy: -1.340 eV per atom
# energy above the most stable polymorph in this dataset: 0.0621 eV/atom
# calculated total energy: -539.071 eV for the cell shown
data_SrH16O10
_chemical_formula_sum 'Sr4 H64 O40'
_cell_length_a 8.932
_cell_length_b 9.416
_cell_length_c 11.718
_cell_angle_alpha 90.00
_cell_angle_beta 91.07
_cell_angle_gamma 90.00
_symmetry_space_group_name_H-M 'C 1 c 1'
_symmetry_Int_Tables_number 9
_symmetry_space_group_name_Hall 'C -2yc'
loop_
_atom_site_label
_atom_site_fract_x
_atom_site_fract_y
_atom_site_fract_z
Sr1 0.000 0.012 0.000
H1 0.065 0.315 0.885
H2 0.069 0.216 0.698
H3 0.153 0.452 0.090
H4 0.165 0.171 0.855
H5 0.179 0.472 0.388
H6 0.186 0.246 0.604
H7 0.229 0.131 0.341
H8 0.248 0.162 0.155
H9 0.277 0.443 0.274
H10 0.306 0.334 0.102
H11 0.349 0.281 0.868
H12 0.350 0.033 0.405
H13 0.360 0.058 0.091
H14 0.440 0.277 0.702
H15 0.458 0.177 0.593
H16 0.474 0.166 0.898
O1 0.016 0.478 0.936
O2 0.019 0.469 0.062
O3 0.067 0.217 0.848
O4 0.087 0.206 0.615
O5 0.239 0.038 0.378
O6 0.259 0.107 0.086
O7 0.280 0.431 0.123
O8 0.283 0.453 0.359
O9 0.420 0.276 0.619
O10 0.456 0.263 0.864
-- stop --


TEAMTALKDLL_API TTBOOL TT_SetEncryptionContext (IN TTInstance *lpTTInstance, const EncryptionContext *lpEncryptionContext)
 Setup encryption properties prior to TT_Connect(). More...
TEAMTALKDLL_API TTBOOL TT_Connect (IN TTInstance *lpTTInstance, IN const TTCHAR *szHostAddress, IN INT32 nTcpPort, IN INT32 nUdpPort, IN INT32 nLocalTcpPort, IN INT32 nLocalUdpPort, IN TTBOOL bEncrypted)
 Connect to a server. More...
TEAMTALKDLL_API TTBOOL TT_ConnectSysID (IN TTInstance *lpTTInstance, IN const TTCHAR *szHostAddress, IN INT32 nTcpPort, IN INT32 nUdpPort, IN INT32 nLocalTcpPort, IN INT32 nLocalUdpPort, IN TTBOOL bEncrypted, IN const TTCHAR *szSystemID)
 Same as TT_Connect() but the option of providing a unique system-ID. More...
TEAMTALKDLL_API TTBOOL TT_ConnectEx (IN TTInstance *lpTTInstance, IN const TTCHAR *szHostAddress, IN INT32 nTcpPort, IN INT32 nUdpPort, IN const TTCHAR *szBindIPAddr, IN INT32 nLocalTcpPort, IN INT32 nLocalUdpPort, IN TTBOOL bEncrypted)
 Bind to specific IP-address prior to connecting to server. More...
TEAMTALKDLL_API TTBOOL TT_Disconnect (IN TTInstance *lpTTInstance)
 Disconnect from the server. More...
TEAMTALKDLL_API TTBOOL TT_QueryMaxPayload (IN TTInstance *lpTTInstance, IN INT32 nUserID)
 Query the maximum size of UDP data packets to the user or server. More...
TEAMTALKDLL_API TTBOOL TT_GetClientStatistics (IN TTInstance *lpTTInstance, OUT ClientStatistics *lpClientStatistics)
 Retrieve client statistics of bandwidth usage and response times. More...
TEAMTALKDLL_API TTBOOL TT_SetClientKeepAlive (IN TTInstance *lpTTInstance, IN const ClientKeepAlive *lpClientKeepAlive)
 Update the client instance's default keep alive settings. More...
TEAMTALKDLL_API TTBOOL TT_GetClientKeepAlive (IN TTInstance *lpTTInstance, OUT ClientKeepAlive *lpClientKeepAlive)
 Get the client instance's current keep alive settings. More...

Detailed Description

This section explains how to connect to a server and how the client should transmit voice and video data.

To communicate with a server the TeamTalk client creates both a TCP and UDP connection to the server. Commands, i.e. the TT_Do*-functions, are sent on TCP whereas audio and video are sent on UDP.

To connect to a server the user application must call TT_Connect. Once connected the event CLIENTEVENT_CON_SUCCESS is posted to the user application and the TT_DoLogin command can be issued. Always ensure to call TT_Disconnect before attempting to create a new connection with TT_Connect.

When the client instance has joined a channel and wants to transmit audio or video data to other users this can be done by calling TT_EnableTransmission().

Forward Through Server Transmission Mode

The client instance is sending its audio and video packets to the server and the server will then broadcast the packets to the other users on behalf of the client. In other words the client puts the bandwidth load onto the server. This approach has its advantages and disadvantages. Since most internet users nowadays have limited upstream they cannot broadcast audio and video packets to numerous users at the same time, so therefore the TeamTalk client makes the server do the broadcasting. This means that the server must have sufficient bandwidth available to handle data transmission from and to all the connected users. One disadvantage by having the server forward the audio and video packets is that it doubles latency, since the client doesn't send directly to other clients.

If the server should not allow clients to forward audio and video packets the uUserRights member of UserAccount must disable USERRIGHT_TRANSMIT_VOICE and USERRIGHT_TRANSMIT_VIDEOCAPTURE.

Typedef Documentation

◆ EncryptionContext

Configure peer verification for encrypted connection.

Client and server can verify that the remote end is using a valid cerficate that has been issued by the same certification authority.

Call TT_SetEncryptionContext() to set up peer verification.

◆ ClientKeepAlive

### Here the piece breaks off for data records
- - -
# Li2SnF6 (PBE-GGA, optimized geometry)
# * calculated total energy: -43.794 eV/f.u.
# * ΔH_f (0 K): -3.028 eV/atom
data_Li2SnF6
_chemical_formula_sum 'Li2 Sn1 F6'
_cell_length_a 5.0301
_cell_length_b 5.0301
_cell_length_c 4.6322
_cell_angle_alpha 90.00
_cell_angle_beta 90.00
_cell_angle_gamma 120.00
_space_group_name_H-M_alt 'P -3 1 m'
_space_group_IT_number 162
_space_group_name_Hall '-P 3 2'
loop_
_atom_site_label
_atom_site_type_symbol
_atom_site_fract_x
_atom_site_fract_y
_atom_site_fract_z
Li1 Li 0.3333 0.6667 0.0000
Sn1 Sn 0.0000 0.0000 0.5000
F1 F 0.0000 0.3252 0.2471


[1]
# Zn17Co3 PBE optimized geometry
# V = 843.0 Å³ per cell
# Formation energy = -0.085 eV per atom
data_Zn17Co3
_chemical_formula_sum 'Zn51 Co9'
_space_group_name_H-M_alt 'P 1'
_space_group_IT_number 1
_space_group_name_Hall 'P 1'
_cell_length_a 11.252
_cell_length_b 11.252
_cell_length_c 7.689
_cell_angle_alpha 90.00
_cell_angle_beta 90.00
_cell_angle_gamma 120.00
loop_
_atom_site_label
_atom_site_type_symbol
_atom_site_fract_x
_atom_site_fract_y
_atom_site_fract_z
_atom_site_occupancy
Zn1 Zn 0.931 0.689 0.833 1
Zn2 Zn 0.758 0.069 0.166 1
Zn3 Zn 0.069 0.311 0.833 1
Zn4 Zn 0.311 0.242 0.500 1
Zn5 Zn 0.242 0.931 0.166 1
Zn6 Zn 0.689 0.758 0.500 1
Zn7 Zn 0.686 0.573 0.993 1
Zn8 Zn 0.887 0.314 0.326 1
Zn9 Zn 0.314 0.427 0.993 1
Zn10 Zn 0.427 0.113 0.660 1
Zn11 Zn 0.113 0.686 0.326 1
Zn12 Zn 0.573 0.887 0.660 1
Zn13 Zn 0.518 0.627 0.792 1
Zn14 Zn 0.109 0.482 0.125 1
Zn15 Zn 0.482 0.373 0.792 1
Zn16 Zn 0.373 0.891 0.459 1
Zn17 Zn 0.891 0.518 0.125 1
Zn18 Zn 0.627 0.109 0.459 1
Zn19 Zn 0.932 0.780 0.511 1
Zn20 Zn 0.847 0.068 0.844 1
Zn21 Zn 0.068 0.220 0.511 1
Zn22 Zn 0.220 0.153 0.178 1
Zn23 Zn 0.153 0.932 0.844 1
Zn24 Zn 0.780 0.847 0.178 1
Zn25 Zn 0.576 0.843 0.990 1
Zn26 Zn 0.267 0.424 0.323 1
Zn27 Zn 0.424 0.157 0.990 1
Zn28 Zn 0.157 0.733 0.656 1
Zn29 Zn 0.733 0.576 0.323 1
Zn30 Zn 0.843 0.267 0.656 1
Zn31 Zn 0.789 0.814 0.821 1
Zn32 Zn 0.025 0.211 0.155 1
Zn33 Zn 0.211 0.186 0.821 1
Zn34 Zn 0.186 0.975 0.488 1
Zn35 Zn 0.975 0.789 0.155 1
Zn36 Zn 0.814 0.025 0.488 1
Zn37 Zn 0.370 0.889 0.858 1
Zn38 Zn 0.519 0.630 0.191 1
Zn39 Zn 0.630 0.111 0.858 1
Zn40 Zn 0.111 0.481 0.524 1
Zn41 Zn 0.481 0.370 0.191 1
Zn42 Zn 0.889 0.519 0.524 1
Zn43 Zn 0.723 0.384 0.833 1
Zn44 Zn 0.661 0.277 0.166 1
Zn45 Zn 0.277 0.616 0.833 1
Zn46 Zn 0.616 0.339 0.500 1
Zn47 Zn 0.339 0.723 0.166 1
Zn48 Zn 0.384 0.661 0.500 1
Zn49 Zn 0.500 0.500 0.495 1
Zn50 Zn 0.000 0.500 0.828 1
Zn51 Zn 0.500 0.000 0.161 1
Co1 Co 0.715 0.575 0.662 1
Co2 Co 0.860 0.285 0.996 1
Co3 Co 0.285 0.425 0.662 1
Co4 Co 0.425 0.140 0.329 1
Co5 Co 0.140 0.715 0.996 1
Co6 Co 0.575 0.860 0.329 1
Co7 Co 0.000 0.000 0.000 1
Co8 Co 0.000 0.000 0.333 1
Co9 Co 0.000 0.000 0.667 1

[2]
# Zn3Co PBE optimized geometry
# V = 52.3 Å³ per cell
# Formation energy = -0.037 eV per atom
data_Zn3Co
_chemical_formula_sum 'Zn3 Co1'
_space_group_name_H-M_alt 'P 1'
_space_group_IT_number 1
_space_group_name_Hall 'P 1'
_cell_length_a 4.717
- - -

Control timers for sending keep alive information to the server.

See also

◆ ClientStatistics

Statistics of bandwidth usage and ping times in the local client instance.

See also

◆ JitterConfig

typedef struct JitterConfig JitterConfig

Configuration parameters for the Jitter Buffer.

See also

Function Documentation

◆ TT_SetEncryptionContext()

TEAMTALKDLL_API TTBOOL TT_SetEncryptionContext ( IN TTInstance lpTTInstance,
const EncryptionContext lpEncryptionContext 

Setup encryption properties prior to TT_Connect().

If the server does peer verification then client must specify certificate file and private key file.

Do not set encryption context unless server requires clients to do so.

lpTTInstancePointer to client instance created by TT_InitTeamTalk.
lpEncryptionContextEncryption properties for peer verification.

◆ TT_Connect()

TEAMTALKDLL_API TTBOOL TT_Connect ( IN TTInstance lpTTInstance,
IN const TTCHAR szHostAddress,
IN INT32  nTcpPort,
IN INT32  nUdpPort,
IN INT32  nLocalTcpPort,
IN INT32  nLocalUdpPort,
IN TTBOOL  bEncrypted 

Connect to a server.

This is a non-blocking call (but may block due to DNS lookup) so the user application must wait for the event CLIENTEVENT_CON_SUCCESS to be posted once the connection has been established or CLIENTEVENT_CON_FAILED if connection could not be established. If the connection could not be establish ensure to call TT_Disconnect to close open connections in the client instance before trying again.

Once connected call TT_DoLogin to log on to the server.

lpTTInstancePointer to client instance created by TT_InitTeamTalk.
szHostAddressThe IP-address or hostname of the server.
nTcpPortThe host port of the server (TCP).
nUdpPortThe audio/video port of the server (UDP).
nLocalTcpPortThe local TCP port which should be used. Setting it to 0 makes OS select a port number (recommended).
nLocalUdpPortThe local UDP port which should be used. Setting it to 0 makes OS select a port number (recommended).
bEncryptedWhether the server requires an encrypted connection. As of TeamTalk v5.5 and onwards encryption is available in both TeamTalk SDK Standard and Professional Edition.
Returns TRUE if connection process was initiated.
See also

◆ TT_ConnectSysID()

TEAMTALKDLL_API TTBOOL TT_ConnectSysID ( IN TTInstance lpTTInstance,
IN const TTCHAR szHostAddress,
IN INT32  nTcpPort,
IN INT32  nUdpPort,
IN INT32  nLocalTcpPort,
IN INT32  nLocalUdpPort,
IN TTBOOL  bEncrypted,
IN const TTCHAR szSystemID 

Same as TT_Connect() but the option of providing a unique system-ID.

The system-ID is set in the TeamTalk server API using TTS_StartServerSysID(). If a client tries to connect with a different system-ID that client will receive the error CMDERR_INCOMPATIBLE_PROTOCOLS when trying to log in.

Requires TeamTalk version

lpTTInstancePointer to client instance created by TT_InitTeamTalk.
szHostAddressThe IP-address or hostname of the server.
nTcpPortThe host port of the server (TCP).
nUdpPortThe audio/video port of the server (UDP).
nLocalTcpPortThe local TCP port which should be used. Setting it to 0 makes OS select a port number (recommended).
nLocalUdpPortThe local UDP port which should be used. Setting it to 0 makes OS select a port number (recommended).
bEncryptedWhether the server requires an encrypted connection. As of TeamTalk v5.5 and onwards encryption is available in both TeamTalk SDK Standard and Professional Edition.
szSystemIDThe identification of the conferencing system. The default value is "teamtalk". See TTS_StartServerSysID()
Returns TRUE if connection process was initiated.

◆ TT_ConnectEx()

TEAMTALKDLL_API TTBOOL TT_ConnectEx ( IN TTInstance lpTTInstance,
IN const TTCHAR szHostAddress,
IN INT32  nTcpPort,
IN INT32  nUdpPort,
IN const TTCHAR szBindIPAddr,
IN INT32  nLocalTcpPort,
IN INT32  nLocalUdpPort,
IN TTBOOL  bEncrypted 

Bind to specific IP-address prior to connecting to server.

Same as TT_Connect() except that this also allows which IP-address to bind to on the local interface.

lpTTInstancePointer to client instance created by TT_InitTeamTalk.
szHostAddressThe IP-address or hostname of the server.
nTcpPortThe host port of the server (TCP).
nUdpPortThe audio/video port of the server (UDP).
szBindIPAddrThe IP-address to bind to on the local interface in dotted decimal format, e.g.
nLocalTcpPortThe local TCP port which should be used. Setting it to 0 makes OS select a port number (recommended).
nLocalUdpPortThe local UDP port which should be used. Setting it to 0 makes OS select a port number (recommended).
bEncryptedWhether the server requires an encrypted connection. As of TeamTalk v5.5 and onwards encryption is available in both TeamTalk SDK Standard and Professional Edition.
See also

◆ TT_Disconnect()

TEAMTALKDLL_API TTBOOL TT_Disconnect ( IN TTInstance lpTTInstance)

Disconnect from the server.

This will clear the flag CLIENT_CONNECTED and CLIENT_CONNECTING.

Use TT_CloseTeamTalk to release all resources allocated by the client instance.

lpTTInstancePointer to client instance created by TT_InitTeamTalk.

◆ TT_QueryMaxPayload()

TEAMTALKDLL_API TTBOOL TT_QueryMaxPayload ( IN TTInstance lpTTInstance,
IN INT32  nUserID 

Query the maximum size of UDP data packets to the user or server.

The CLIENTEVENT_CON_MAX_PAYLOAD_UPDATED event is posted when the query has finished.

lpTTInstancePointer to client instance created by TT_InitTeamTalk.
nUserIDThe ID of the user to query or 0 for querying server. Currently only nUserID = 0 is supported.

◆ TT_GetClientStatistics()

TEAMTALKDLL_API TTBOOL TT_GetClientStatistics ( IN TTInstance lpTTInstance,
OUT ClientStatistics lpClientStatistics 

Retrieve client statistics of bandwidth usage and response times.

See also

◆ TT_SetClientKeepAlive()

TEAMTALKDLL_API TTBOOL TT_SetClientKeepAlive ( IN TTInstance lpTTInstance,
IN const ClientKeepAlive lpClientKeepAlive 

Update the client instance's default keep alive settings.

It is generally discouraged to change the client instance's keep alive settings unless the network has special requirements.

After calling TT_SetClientKeepAlive() it is recommended doing a TT_DoPing() since all TCP and UDP keep alive timers will be restarted.

See also

◆ TT_GetClientKeepAlive()

TEAMTALKDLL_API TTBOOL TT_GetClientKeepAlive ( IN TTInstance lpTTInstance,
OUT ClientKeepAlive lpClientKeepAlive 

Get the client instance's current keep alive settings.

See also